(Request)
Your job: type out every line underneath that contains the word "energy".
(Input)
-- begin --
VASP calculation (GGA+U) on crystalline MnP4H16N2O16 at its relaxed geometry.

a = 7.116 Å, b = 7.511 Å, c = 7.907 Å
α = 99.50°, β = 108.33°, γ = 88.29°
Fractional positions:
P  0.833  0.253  0.256
P  0.248  0.205  0.256
P  0.167  0.747  0.744
P  0.752  0.795  0.744
O  0.205  0.618  0.881
O  0.241  0.691  0.585
O  0.571  0.766  0.563
O  0.429  0.234  0.437
O  0.755  0.654  0.860
O  0.234  0.010  0.161
O  0.930  0.766  0.654
O  0.252  0.941  0.845
O  0.070  0.234  0.346
O  0.759  0.309  0.415
O  0.795  0.382  0.119
O  0.245  0.346  0.140
O  0.766  0.990  0.839
O  0.748  0.059  0.155
O  0.941  0.278  0.769
O  0.059  0.722  0.231
H  0.327  0.396  0.821
H  0.553  0.307  0.893
H  0.424  0.275  0.668
H  0.881  0.295  0.642
H  0.564  0.266  0.420
H  0.436  0.734  0.580
H  0.650  0.831  0.190
H  0.758  0.026  0.023
H  0.881  0.166  0.784
H  0.447  0.693  0.107
H  0.576  0.725  0.332
H  0.350  0.169  0.810
H  0.119  0.834  0.216
H  0.119  0.705  0.358
H  0.242  0.974  0.977
H  0.673  0.604  0.179
N  0.586  0.713  0.202
N  0.414  0.287  0.798
Mn  0.000  0.500  0.000

Calculated density   2.0 g/cm3
Formation enthalpy at 0 K   -1.692 eV per atom
Calculated total energy   -234.276 eV/cell
-- stop --
(Outcome)
Calculated total energy   -234.276 eV/cell